1 Kings 2:1-46 The kingdom secured

What makes a good leader?  Much depends on the sphere in which leadership is exercised.  Often in politics lack of leadership is apparent, and concern with popularity can take priority.  Scripture has much to say about those who lead God’s people.  Both being and doing are crucial.  We now consider 1 Kings 2:1-46 The kingdom secured.

1. Obeying God

Crystal structures from another source follow:
____________
The following is a simulated powder diffraction line list of Fe4P3H3O15. It was derived from a PBE+U-relaxed structure, using a wavelength of 1.5418 Å.
Neutral-atom scattering factors, no anomalous dispersion.

Cell and atoms:
Unit cell a=10.595 b=10.595 c=7.556 alpha=101.61 beta=101.61 gamma=41.51
Fractional positions:
1 Fe 0.147 0.700 0.844
2 Fe 0.300 0.853 0.656
3 Fe 0.320 0.342 0.149
4 Fe 0.342 0.320 0.649
5 Fe 0.658 0.680 0.351
6 Fe 0.680 0.658 0.851
7 Fe 0.700 0.147 0.344
8 Fe 0.853 0.300 0.156
9 P 0.033 0.306 0.586
10 P 0.306 0.033 0.086
11 P 0.386 0.614 0.250
12 P 0.614 0.386 0.750
13 P 0.694 0.967 0.914
14 P 0.967 0.694 0.414
15 H 0.007 0.993 0.250
16 H 0.089 0.501 0.876
17 H 0.499 0.911 0.624
18 H 0.501 0.089 0.376
19 H 0.911 0.499 0.124
20 H 0.993 0.007 0.750
21 O 0.072 0.552 0.247
22 O 0.109 0.117 0.608
23 O 0.114 0.603 0.584
24 O 0.117 0.109 0.108
25 O 0.124 0.876 0.750
26 O 0.197 0.270 0.560
27 O 0.208 0.464 0.901
28 O 0.245 0.714 0.084
29 O 0.270 0.197 0.060
30 O 0.286 0.755 0.416
31 O 0.397 0.886 0.916
32 O 0.429 0.445 0.763
33 O 0.445 0.429 0.263
34 O 0.448 0.928 0.253
35 O 0.464 0.208 0.401
36 O 0.536 0.792 0.599
37 O 0.552 0.072 0.747
38 O 0.555 0.571 0.737
39 O 0.571 0.555 0.237
40 O 0.603 0.114 0.084
41 O 0.714 0.245 0.584
42 O 0.730 0.803 0.940
43 O 0.755 0.286 0.916
44 O 0.792 0.536 0.099
45 O 0.803 0.730 0.440
46 O 0.876 0.124 0.250
47 O 0.883 0.891 0.892
48 O 0.886 0.397 0.416
49 O 0.891 0.883 0.392
50 O 0.928 0.448 0.753

Peak list (10 most intense, 2θ = 15–90°, by angle)
2θ = 25.4°, rel. 13; 2θ = 26.4°, rel. 100; 2θ = 27.3°, rel. 21; 2θ = 27.7°, rel. 20; 2θ = 34.0°, rel. 11; 2θ = 43.4°, rel. 12; 2θ = 43.8°, rel. 11; 2θ = 54.4°, rel. 23; 2θ = 56.4°, rel. 23; 2θ = 57.1°, rel. 14

=====

Diffraction record for HfGa4Au. The powder diffractogram is computed, not measured: it uses a GGA-PBE-relaxed structure and Cu Kα.
Lines closer than 0.1° are merged.

Peak list (10 most intense, 10 to 90 degrees two-theta, most intense first)
h k l, 2θ (°), Rel. int.
1 0 3, 40.07, 100
1 1 0, 36.64, 65
2 1 3, 68.28, 41
1 0 1, 27.61, 34
2 0 0, 52.78, 23
1 1 6, 75.00, 15
0 0 2, 20.02, 13
2 0 6, 86.49, 11
3 1 0, 89.31, 11
1 1 2, 42.10, 9

Structure:
```
data_HfGa4Au
_chemical_formula_sum 'Hf1 Ga4 Au1'
_cell_length_a 3.469
_cell_length_b 3.469
_cell_length_c 8.872
_cell_angle_alpha 90.00
_cell_angle_beta 90.00
_cell_angle_gamma 90.00
_space_group_name_H-M_alt 'P 4/m m m'
_space_group_IT_number 123
_space_group_name_Hall '-P 4 2'
loop_
_atom_site_label
_atom_site_type_symbol
_atom_site_fract_x
_atom_site_fract_y
_atom_site_fract_z
_atom_site_occupancy
Hf1 Hf 0.000 0.000 0.000 1
Ga1 Ga 0.000 0.000 0.335 1
Ga2 Ga 0.500 0.500 0.183 1
Au1 Au 0.500 0.500 0.500 1
```

=====

[1]
Starting from a cell relaxed with GGA-PBE, the powder XRD pattern of NaSrZrBiO6 was simulated for Cu Kα X-rays.
Kinematic intensities with the Lorentz-polarization factor, no thermal factor.

Peak list (8 most intense, 10° ≤ 2θ ≤ 90°, sorted by position)
____________

We need to understand that Israel’s king ruled the covenant people of God.  This is rooted in the covenant that God made with David (2 Samuel 7), especially the promise ‘I will raise up your offspring to succeed you…I will establish his kingdom’ (v12).  The promise finds its ultimate fulfilment in King Jesus.  Within the covenant God’s requirement of his people is always loving obedience, especially on the part of the King.  Regarding Solomon, David charges him, ‘observe what the Lord your God requires’ (v3).  Within the covenant obedience is the path to blessing – by God’s grace, not because we deserve it.  Without obedience, we cannot claim to love God.  We want to be one ‘who hears these words of mine and puts them into practice’ (Matthew 7:24).

2. Implementing justice

God ensures the welfare of his kingdom.  He gives the covenant blessing, but his people, especially his king, have the responsibility to act in ways that promote the kingdom’s welfare.  The kingdom will not be established without the king’s implementing justice.  We are not to think of David and Solomon as cynical ruthless political operators: they are God’s rulers seeking to implement justice in the ambiguities of a fallen world.

            (i). Adonijah.  He is the architect of his own downfall, the request for Abishag either folly or a renewed attempt on the throne.  He rejects the mercy already shown.

            (ii). Joab.  He had much blood on his hands, including Abner (2 Samuel 3:27) and Amasa (2 Samuel 20:9-10), as well as Absalom.  The justice that David had failed to exact, in fear of Joab, will now be executed.

            (iii). Abiathar.  Although he had stood by David during Absalom’s revolt (2 Samuel 15:24), which now saved his life, he had joined Adonijah’s revolt.  To retain usefulness in the Lord’s service, we must persevere.

            (iv). Barzillai.  His faithfulness to David is rewarded (v7).  The ‘kindness’ is a reflection of the covenant kindness of the Lord who never forsakes his people.

3. Securing peace

Note ‘The kingdom was now finally established in Solomon’s hands’ (v46).  There is peace within the kingdom, based on the justice described.  The rule of King Jesus is established on justice, with the King bearing the penalty due to the sins of his people (2 Corinthians 5:21).  That is how God’s kingdom operates.  Concern for righteousness and justice should inform the discipline of the church.  Ultimate peace will be secured at the return of the King in his judgment of unrepentant enemies, when ‘he has put all his enemies under his feet’ (Psalm 110:1, 1 Corinthians 15:25), securing his Kingdom.

1 Kings 1:1-53 Long live King Solomon

No leader is immortal.  Even the greatest can serve only for a limited time.  Eventually he or she must step aside (or be removed by death or other forces).  That time of change can be difficult and dangerous.  At the beginning of 1 Kings Israel is approaching a time of transition as David nears the end of his life: what will become of the kingdom?  We must also bear in mind that the Lord appoints the king and Israel is a picture of the Kingdom of God, so that the king foreshadows the Messiah, who reigns over God’s eternal kingdom.  We begin by considering 1 Kings 1:1-53 Long live King Solomon.

1. The rebellion planned

The kingdom is in danger since David is ‘old and well advanced in years’ (v1).  He seems to have reached a point of allowing things to happen rather than taking decisive action.  Such apparent weakness provides an opportunity for Adonijah (v5) to foment rebellion.  He seems totally unqualified, making no mention of the Lord and giving no evidence of personal godliness.  David has not exercised control (v6) and the rebellion gathers supporters (v7ff).  Here is a reminder that God’s king and kingdom are always under attack – see Psalm 2 – with the ultimate fulfilment in the Messiah (see Acts 4:24-30).

2. The succession secured

The Lord always has faithful kingdom servants to fulfil his purposes, such as Nathan (v11) who sees the danger and implements a plan of action.  He also includes Bathsheba, Solomon’s mother, who received a promise that Solomon would be king (v17).  They understood that trust in God’s sovereignty did not rule out action guided by faith.  God used the action of such faithful servants to preserve the kingdom.  Being ‘shrewd as snakes’ (Matthew 10:16), we must work diligently for the King as he gives opportunity.

3. The king proclaimed

The news from Nathan and Bathsheba transforms David.  The ‘old David’ is needed and returns.  He is powerfully motivated when he understands the danger in which the kingdom stands.  He has a profound awareness of the Lord: ‘As surely as the Lord lives, who has delivered me out of every trouble’ (v29).  He does all that is required for Solomon’s coronation as co-regent (v32-40).  His action is necessary for the fulfilment of the sovereign plan of God.  Like David, we should be stirred by a deep concern for the welfare of God’s kingdom as we serve King Jesus.

4. The kingdom preserved

Adonijah’s rebellion disintegrates in the face of the king’s action and Solomon’s anointing.  Though David’s action was crucial, he knows that it is by God’s hand that this has happened – ‘Praise be to the Lord’ (v48).  Ultimately the rebellion of the nations is frustrated by the appointed Messiah – ‘I have installed my king on Zion’ (Psalm 2:6).  The Lord will not allow his kingdom to perish and so we can rejoice in faith.

2 Peter 3:14-18 The Lord is coming

If a royal visitor was coming, you would make the best preparations you could.  You would not think that second best would be ‘good enough’.  Not least, you would want to look your best, dressed suitably to meet such a dignitary.  If that is the case for a merely human ruler, how much more careful should we be when we know we will stand before the King of kings?  We now consider 2 Peter 3:14-18 The Lord is coming.

1. Exhortation to prepare

The details of the Second Coming of the Lord exercise a fascination for some people, but we must not try to go beyond what he has actually revealed in Scripture.  The information we are given is to have a practical effect on the lives of believers.  Thus we read, ‘since you are looking forward to this, make every effort’ (v14).  It is a call to action, an exhortation to the hard work that will prepare for the Lord’s coming.  We will ‘be found in his sight’ (v14, lit.) – the final judgment.  How are we to prepare?  Note ‘at peace’ – chiefly with one another, as disunity among believers dishonours the Lord.  In our personal spiritual life we are to be ‘spotless, blameless’, our desire is to be like Christ (see 1 Peter 1:19).  Note also Hebrews 12:14 ‘without holiness no-one will see the Lord’.

2. Exhortation to learn

We have here a fascinating insight into the development of the New Testament.  Peter quotes Paul in support of his teaching: ‘just as our dear brother Paul also wrote’ (v15).  Note the authority of his writings: ‘the wisdom given him’ (v15; ‘by God’ not in the original, but the meaning is clear).  Paul’s writings are classed with ‘the other Scriptures’ (v16) – they are equally part of the ‘God-breathed’ writings (2 Timothy 3:16).  In time the church came to recognise the inspired nature of our NT documents, acknowledging (not granting) their authority.  We are to learn from them and submit to their teaching.  Granted we find ‘some things that are hard to understand’, but we must not be like ‘ignorant and unstable people’ who twist Scripture and damage their souls.  We need to be firmly grounded in the truths revealed in the Word of God.

........
# 1
Calculated powder X-ray diffraction pattern
Compound: ZrSc5
Radiation: copper Kα
Structure: the GGA-PBE geometry in Alexandria

Main lines, sorted by position (2θ = 10–80°):
2θ = 20.24°, I 9
2θ = 24.57°, I 11
2θ = 34.61°, I 100
2θ = 35.43°, I 91
2θ = 50.37°, I 32
2θ = 57.38°, I 9
2θ = 63.08°, I 31
2θ = 63.61°, I 14
2θ = 69.27°, I 22
2θ = 74.97°, I 9

Structure:
abc: 5.0669 5.0669 6.4238
angles: 90.00 90.00 120.00
Sites, in units of the cell vectors:
Zr (0.0000, 0.0000, 0.0000)
Sc (0.0000, 0.0000, 0.5000)
Sc (0.3333, 0.6667, 0.2493)
Sc (0.3333, 0.6667, 0.7507)
Sc (0.6667, 0.3333, 0.2493)
Sc (0.6667, 0.3333, 0.7507)

***

# 2
Calculated powder X-ray diffraction pattern
Compound: TbZnH6Ir2
Radiation: copper Kα
Structure: the GGA-PBE geometry in Alexandria

Main lines, sorted by position (2θ = 10–80°):
2θ = 16.91°, I 21
2θ = 23.56°, I 34
2θ = 32.38°, I 92
2θ = 36.75°, I 69
2θ = 40.15°, I 100
2θ = 52.49°, I 24
2θ = 55.55°, I 21
2θ = 63.85°, I 20
2θ = 68.08°, I 22
2θ = 70.73°, I 21

Structure:
abc: 5.8482 5.8482 5.8482
angles: 45.17 45.17 45.17
Sites, in units of the cell vectors:
Tb (0.0000, 0.0000, 0.0000)
Zn (0.5000, 0.5000, 0.5000)
H (0.0542, 0.5592, 0.5592)
H (0.4408, 0.4408, 0.9458)
H (0.4408, 0.9458, 0.4408)
H (0.5592, 0.0542, 0.5592)
........

3. Exhortation to grow

With deep pastoral concern Peter gives final instructions:

  • Negative: We are to remain steadfast in the truth we know and ‘be on your guard’ (v17).  If Christians do not guard against the subtle attacks of error, they may become unstable and unable to resist the temptations that would be destructive of their spiritual life.  There must be no complacency (1 Corinthians 10:12).
  • Positive: ‘grow in the grace and knowledge of our Lord and Saviour Jesus Christ’ (v18).  Being firmly rooted in truth is the beginning, but then there must be growth and progress.  Knowledge must be translated into godly living.  We never relax in this life (Philippians 3:12).  The focus is to be on Christ and the doxology is a fitting conclusion.

2 Peter 3:1-13 The day of the Lord

The end of the world is a subject that fascinates many people – how might it happen, when will it come?  In unsettled times, times of conflict, the end of the world does not seem to be a remote prospect.  People can offer all kinds of theories and speculations, but only the sovereign Lord can tell us what he has decreed for the future.  We now consider 2 Peter 3:1-13 The Day of the Lord.

1. The ridicule of unbelievers

What Peter says may well be related to the activity of false teachers already described.  ‘First of all you must understand that in the last days scoffers will come’ (v3).  The last days began with the first coming of Christ (Hebrews 1:2).  Error is again related to immoral conduct – ‘following their own evil desires’.  The nature of the scoffing is questioning the reality of Christ’s return – ‘Where is this “coming” he promised?’ (v4).  A problem in the early church was that some Christians misunderstood Jesus’ teaching and thought he would come back almost at once (see Mark 9:1).   When he did not come back, they became distressed and open to the attacks of scoffers – ‘everything goes on as it has’ (v4).  The challenge that believers often have to face is that unbelievers refuse to believe what their senses cannot detect and Christian faith becomes an object of ridicule.

2. The reply of Peter

Peter is undeterred and offers his readers a twofold answer:

  • Things do not go on unchanged (v5-7).  Creation has once before undergone dramatic change at the Flood (Genesis 7).  This is a token that the Lord can do the same again, this time by fire – ‘reserved for fire’ (v7).  Scoffers are wilfully blind to the truth.
  • It is folly to believe that God is subject to our timescale – time is irrelevant to God.  He ‘is not slow in keeping his promise’ (v7).  The ‘delay’ is to allow time for repentance.

3. The renewal of creation

Peter uses dramatic language to describe the final events.  The focus is on God’s action.  There will be ‘a new heaven and a new earth’ (v11) – renewal, not annihilation.  This is also taught in Romans 8:22.  The cosmic transformation is bound up with the completion of our salvation, our adoption.  There will be a perfect creation as a result of God’s sovereign work.  The ravages of sin will be removed from believers and the creation

4. The response of believers

The description of the final cosmic renewal is not given to inspire fear in believers – they have nothing to fear as they meet their Saviour.  We ‘are looking forward’ (v13) in anticipation.  There is, however, to be a practical response in the present – ‘what kind of people ought you to be? (v11).  The prospect of the passing away of the temporal order should be a spur to a life of obedience.  God uses our efforts to prepare the way (v12).

=====
Entry 1:
# NaNd2CuO5
Theoretical X-ray diffraction stick pattern, Cu Ka. Input: a structure optimized by DFT (PBE).
No peak broadening, texture or thermal motion is included.

Crystal structure
```
18
Lattice="6.7503 0.0000 0.0000 0.0000 6.7503 0.0000 0.0000 0.0000 5.6192" Properties=species:S:1:pos:R:3 pbc="T T T"
Na 0.0000 0.0000 0.0000
Na 3.3751 3.3751 0.0000
Nd 1.1983 2.1768 2.8096
Nd 2.1768 5.5520 2.8096
Nd 4.5735 1.1983 2.8096
Nd 5.5520 4.5735 2.8096
Cu 0.0000 3.3751 0.0000
Cu 3.3751 0.0000 0.0000
O 0.0000 0.0000 2.8096
O 0.8848 4.2600 1.3429
O 0.8848 4.2600 4.2763
O 2.4903 0.8848 1.3429
O 2.4903 0.8848 4.2763
O 3.3751 3.3751 2.8096
O 4.2600 5.8655 1.3429
O 4.2600 5.8655 4.2763
O 5.8655 2.4903 1.3429
O 5.8655 2.4903 4.2763
```

Main lines, most intense first (2θ from 5° to 70°):
33.70°, intensity 100
30.91°, intensity 94
15.77°, intensity 79
44.03°, intensity 68
29.59°, intensity 38
31.85°, intensity 37
18.59°, intensity 34
56.17°, intensity 33
45.45°, intensity 33
57.95°, intensity 33
58.74°, intensity 30
66.05°, intensity 22

---

Entry 2:
# Ba3SnI8
Theoretical X-ray diffraction stick pattern, Cu Ka. Input: a structure optimized by DFT (PBE).
No peak broadening, texture or thermal motion is included.

Crystal structure
```
12
Lattice="4.8288 -7.4624 0.0000 4.8288 7.4624 0.0000 0.0000 0.0000 9.8201" Properties=species:S:1:pos:R:3 pbc="T T T"
Ba 0.0000 0.0000 0.0000
Ba 2.4144 3.7312 7.3211
Ba 2.4144 -3.7312 2.4990
Sn 0.0000 0.0000 4.9101
I 4.8288 4.2433 4.9101
I 2.2830 0.2414 7.2028
I 4.8288 3.9919 0.0000
I 2.2830 -0.2414 2.6173
I 7.3746 0.2414 2.6173
I 4.8288 -3.9919 0.0000
I 7.3746 -0.2414 7.2028
I 4.8288 -4.2433 4.9101
```

Main lines, most intense first (2θ from 5° to 70°):
25.88°, intensity 100
35.48°, intensity 70
23.85°, intensity 51
10.91°, intensity 45
14.17°, intensity 36
36.60°, intensity 19
37.24°, intensity 19
44.16°, intensity 18
44.71°, intensity 18
59.10°, intensity 15
21.67°, intensity 14
21.92°, intensity 13

---

Entry 3:
# AlV2Ga4
Theoretical X-ray diffraction stick pattern, Cu Ka. Input: a structure optimized by DFT (PBE).
No peak broadening, texture or thermal motion is included.

Crystal structure
```
14
Lattice="5.3905 0.0000 0.0000 1.2102 6.6337 0.0000 2.3202 2.4196 6.3308" Properties=species:S:1:pos:R:3 pbc="T T T"
Al 0.0000 0.0000 0.0000
Al 3.4699 1.9748 3.7977
V 1.5084 4.3810 1.7393
V 2.7268 6.5682 2.1954
V 3.9466 4.1211 1.9037
V 3.8518 5.9552 0.1088
Ga 2.5831 4.5617 4.0888
Ga 4.9112 6.2832 5.6647
Ga 2.8753 1.8330 0.9937
Ga 5.3326 3.9493 4.3508
Ga 5.3544 6.2703 2.5492
Ga 5.5258 2.0758 1.8269
Ga 7.4622 7.9879 4.2680
Ga 7.6439 6.0760 6.0405
```

Main lines, most intense first (2θ from 5° to 70°):
45.77°, intensity 100
43.36°, intensity 80
40.83°, intensity 73
34.10°, intensity 72
42.35°, intensity 72
36.18°, intensity 52
36.67°, intensity 52
41.81°, intensity 48
42.86°, intensity 42
36.56°, intensity 40
44.68°, intensity 39
43.57°, intensity 36

---

Entry 4:
# BeAlPd3
=====

2 Peter 2:10b-21 Beware false teachers

Nobody wants to give unnecessary offence.  We want to avoid hurting others.  These are right and proper concerns.  They can however lead us to refuse to disagree with opinions that we believe to be seriously wrong and harmful.  One of the highly regarded virtues of our society is tolerance, but when it comes to issues of truth there have to be limits to tolerance.  Those who teach error regarding the basics of the gospel cannot be ignored.  We now consider 2 Peter 2:10b – 21 Beware false teachers.

1. A wicked life

Peter knows that false teaching and those who spread it can have a fatal attraction.  It appears that something more exciting than the old orthodoxy is on offer.  Hence Peter’s lengthy indictment.  There seems to be a spiritual arrogance in these teachers – ‘Bold and arrogant…not afraid to slander celestial beings’ (v10b).  The ‘celestial beings’ are fallen angels (v11) – the teachers seem to have a casual attitude to spiritual dangers.  They fail to recognise their own smallness.  ‘They ‘blaspheme in matters they do not understand’.  There is a moral laxity (v14), with their whole life infected by this outlook.  Even the company of Christians is not a restraint.  Also ‘they are experts in greed’ (v14).  False teachers seem to offer much but in fact deliver nothing – ‘springs without water’ (v17).

2. A destructive influence

False teachers can enjoy a measure of success, but are also one of the ways God chastens and awakens a sleepy church.  They make an impressive sound that can have an effect on the spiritually immature.  Even true believers can be led astray for a time.  In particular danger are ‘those who are just escaping from those who live in error’ (v18).  Old sins can exert a strong pull and knowledge of the truth can be limited, and so they are vulnerable.  False teachers ‘promise them freedom’ – freedom from any restraint, even of God’s law.  They are told they can live as they please.  In fact such a life is bondage – false teachers are ‘slaves of depravity’ v19).  The danger is real.  Many follow false ways to their cost.  True believers can be influenced by them if they are not on their guard.  The greatest danger is to those not well-grounded in the truth.  That is why the church must be so careful to instruct the Lord’s people well.  Truth protects.

3. A lost opportunity

Sadly, these false teachers had a knowledge of the truth that could have led to a heart commitment to Christ (v20).  They know the way of salvation and it has had some effect, but Peter is not saying they were ever truly saved.  Some can go a long way in understanding the gospel yet never actually believe.  To go back instead of forward spiritually is a very serious matter – ‘they are worse off at the end than they were at the beginning’ (v20).  Remember Jesus’ story of the man from whom a demon was exorcised, but nothing good was put in its place (Matthew 12:45).  Peter offers two unflattering illustrations (v22).  Some knowledge of the truth and some moral renovation are not enough – our only hope is in Christ, made ours by repentance and saving faith.